Bird Watcher's General Store

“A Cape Cod Destination Icon For 40 Years”

Dear Bird Folks,

I’m sure you have been to many of Florida’s birding hot spots (the Everglades, Sanibel Island, etc.), but I’m wondering if you have ever birded Florida’s Panhandle. I’m going there on business next month and would like to know if I should take my binoculars with me.

– Justin, Delmar, NY

+++
Compound: Eu3As2S8
Source: the Materials Project
Functional: PBE-GGA
Structure: relaxed

```
26
Lattice="4.6259 2.6708 9.1849 -4.6259 2.6708 9.1849 0.0000 -5.3415 9.1849" Properties=species:S:1:pos:R:3 pbc="T T T"
Eu -3.1415 -0.0997 11.4812
Eu -1.4844 -2.7705 16.0736
Eu 1.6571 -2.6708 11.4812
Eu -1.6571 2.6708 16.0736
Eu 1.4844 2.7705 11.4812
Eu 3.1415 0.0997 16.0737
As 0.0000 0.0000 4.3974
As 0.0000 0.0000 9.3800
As 0.0000 0.0000 18.1748
As 0.0000 0.0000 23.1574
S -2.5618 -2.3661 13.2607
S 0.0000 0.0000 2.1712
S -2.0641 0.3046 8.6682
S -3.3300 1.0355 14.2942
S 0.7682 -1.9399 8.6682
S 0.7682 -3.4016 14.2942
S 0.0000 0.0000 11.6062
S -1.2959 -1.6352 18.8866
S 1.2959 1.6352 8.6682
S 0.0000 0.0000 15.9486
S -0.7682 3.4017 13.2607
S -0.7682 1.9399 18.8866
S 3.3300 -1.0355 13.2607
S 2.0641 -0.3046 18.8866
S 0.0000 0.0000 25.3836
S 2.5618 2.3661 14.2942
```

total energy after the MP2020 corrections = -181.323 eV/cell
DFT total energy = -173.3 eV/cell

Compound: Eu3Si2As4
Source: the Materials Project
Functional: PBE-GGA
Structure: relaxed

```
36
Lattice="7.5022 0.0000 0.0000 0.0000 17.9677 0.0000 -2.6890 0.0000 6.8474" Properties=species:S:1:pos:R:3 pbc="T T T"
Eu 1.6466 3.3232 0.0900
Eu 0.3021 5.6606 3.5137
Eu 0.5187 1.1352 3.4965
Eu 1.8633 7.8487 0.0728
Eu 0.5999 10.0378 3.4225
Eu -0.7446 16.9137 6.8462
Eu 5.5578 1.0540 0.0013
Eu 4.2133 7.9298 3.4250
Eu 2.9499 10.1190 6.7746
Eu 4.2945 16.8325 3.3509
Eu 4.5111 12.3071 3.3337
Eu 3.1666 14.6444 6.7574
Si 1.5041 11.3076 0.2015
Si 0.1596 15.6439 3.6252
Si -0.1207 13.2987 6.2824
Si 1.2239 13.6528 2.8587
Si 3.5893 4.3149 3.9887
Si 4.9338 4.6690 0.5650
Si 4.6536 2.3238 3.2222
Si 3.3091 6.6601 6.6459
As -1.9514 10.0870 5.1621
As -0.6069 16.8645 1.7384
As -0.3115 12.3466 1.5276
As -1.6560 14.6049 4.9513
As 3.0703 10.1994 1.6271
As 1.7257 16.7521 5.0508
As 1.7864 12.5190 4.9604
As 3.1309 14.4325 1.5367
As 1.6823 3.5352 5.3107
As 3.0268 5.4487 1.8870
As 3.0875 1.2156 1.7966
As 1.7429 7.7682 5.2203
As 6.4692 3.3627 1.8961
As 5.1247 5.6211 5.3198
As 5.4201 1.1032 5.1090
As 6.7646 7.8807 1.6853
```

DFT total energy = -271.6 eV/cell

Compound: EuZn2As2
Source: the Materials Project
Functional: PBE-GGA
Structure: relaxed

```
5
Lattice="4.2481 0.0000 0.0000 -2.1241 3.6790 0.0000 0.0000 0.0000 7.1050" Properties=species:S:1:pos:R:3 pbc="T T T"
Eu 0.0000 0.0000 0.0000
Zn 0.0000 2.4527 2.6122
Zn 2.1241 1.2263 4.4927
As 0.0000 2.4527 5.2290
As 2.1241 1.2263 1.8760
```

DFT total energy = -25.5 eV/cell

Compound: Eu11Zn6As12
Source: the Materials Project
Functional: PBE-GGA
Structure: relaxed

```
29
Lattice="15.0600 -2.1548 0.0000 15.0600 2.1548 0.0000 -3.9431 0.0000 10.9847" Properties=species:S:1:pos:R:3 pbc="T T T"
Eu 0.0000 0.0000 0.0000
Eu -2.1684 0.0000 7.4430
Eu 1.3746 0.0000 5.6265
Eu 3.7209 0.0000 0.2280
Eu 4.6183 0.0000 3.8199
Eu 7.9598 0.0000 1.4968
Eu 18.2171 0.0000 9.4880
Eu 21.5586 0.0000 7.1649
Eu 22.4560 0.0000 10.7568
Eu 24.8023 0.0000 5.3583
Eu 28.3453 0.0000 3.5418
Zn 3.9565 0.0000 7.3529
+++


Of course, Justin,

Of course you should take your binoculars. You should have your binoculars with you wherever you go. Not only will you need them if you see a strange bird, but having binoculars around your neck makes everyone else around you nervous. I like doing that. People who don’t know better think anyone carrying binoculars is either a spy or a pervert, or worse, a birder. Spies and perverts make people anxious for obvious reasons but birders make folks uncomfortable because they’re afraid we are going to start telling them about all the birds we’ve seen. Most people would rather hear about a fat guy’s gallbladder operation than have to listen to one of our days spent looking at birds. It’s their loss. I’ve only birded Florida’s Panhandle twice. The first time was twenty years ago and the second was fairly recently. I’m happy to report that not much has changed in those twenty years. While most of Florida’s other birding spots have become surrounded by repetitive shopping centers and bankrupt housing developments, the Panhandle seems to be one place that time has forgotten…or has chosen to ignore.

On my latest visit to the Panhandle, I stayed in downtown Tallahassee, which will probably make most birders cringe. Birders are like starving artists; they don’t think they are truly birding if they aren’t totally miserable. Birders think that staying in a place with indoor plumbing is excessive. Not me. My idea of roughing it is when the doorman forgets my name. But on this particular trip the joke was on me. I thought Tallahassee, being Florida’s capital, would be a fun place to be at night. Not even close. I’ve seen road kill with more of a pulse than this city has. You know it’s a dull town when the local Starbucks closes at 11:00 AM. Really. After spending the night in the slumbering state capital, I was happy to get up and head to the swamps each morning. At least I could find some life there.

The first place I’d recommend is St. Mark’s National Wildlife Refuge. It’s only about a half hour drive from Tallahassee and you won’t meet any traffic on your way. Remember, the Panhandle is not like the rest of Florida. In addition to having a bird book and binoculars, make sure you have some cash with you. The refuge has an entry fee of $5.00 but no one was there to take my money or make change. I had to slip the exact amount into a weird pipe in the ground and trust that it found its way into the right hands. My first stop was at the visitor’s center. I was hoping to find someone who could tell me about recent bird sightings, but the lone person there was an older lady and the only thing she wanted to tell me about was her grandkids. You should stop there anyhow. There is a short walk around a pond in back of the visitor’s center and there were actually quite a few birds to see there.

The refuge offers several other productive trails, plus a long wildlife drive where you can see a fair number of birds with out having to get out of your car. Sweet! I’m not going to list the birds you are likely to see at this refuge because every birder has his or her own idea of what a “good” bird is. However, you are going to see plenty of birds. The refuge’s checklist contains over 300 species, which range from waterfowl, to shorebirds, to raptors, to warblers and lots of sparrows (good luck with those guys).

Another good birding spot that is even closer to Tallahassee is Wakulla Springs State Park. This is the lazy birder’s dream. There are a few short trails in the park, but the best way to see birds is by going on one of their guided boat trips. Usually going on any kind of public tour creeps me out, but this trip wasn’t too bad. To begin with it only cost eight bucks and was only forty-five minutes long. Even I can put up with strangers for that amount of time. The other good thing was that the guide was a very knowledgeable park ranger and not a volunteer talking about grandchildren. The boat brought us exceptionally close to an assortment of herons and ducks, plus the obligatory gator and at least a dozen manatees. The manatees were so close that I thought about hopping out of the boat and riding one, but the look in the ranger’s and the gator’s eyes convinced me not to try it.

I visited some other birding spots in the Panhandle, Justin, but they weren’t as productive. One park, which was close to the city, seemed to have more hobos in it than birds, so I got out of there quickly. At least I thought they were hobos. Now that I think about, they were so sketchy looking they may have been birders. OMG! Now I’m really glad I got out of there.